== To do ==
Count the lines further down that contain the word "Li7" and give the number alone, please.

== Listing ==
+++
[1]
Calculated powder diffraction line list
Compound: Li3Hf2O6
Radiation: Cu Kα X-rays
Structure: the GGA-PBE geometry in OQMD

Main lines, low angle first (5° ≤ 2θ ≤ 70°):
2θ/deg  I/Imax  index
18.6  100  0 0 1
19.2  22  0 2 0
20.0  40  1 1 0
22.4  27  1 1 -1
26.9  23  0 2 1
34.1  40  1 3 0
35.6  34  2 0 0
42.4  40  1 3 1

Structure:
```
data_Li3Hf2O6
_cell_length_a 5.452
_cell_length_b 9.235
_cell_length_c 5.153
_cell_angle_alpha 90.00
_cell_angle_beta 112.20
_cell_angle_gamma 90.00
_space_group_name_H-M_alt 'C 1 2 1'
_space_group_IT_number 5
loop_
_space_group_symop_operation_xyz
'x,y,z'
'-x,y,-z'
'x+1/2,y+1/2,z'
'-x+1/2,y+1/2,-z'
loop_
_atom_site_label
_atom_site_fract_x
_atom_site_fract_y
_atom_site_fract_z
Li1 0.000 0.000 0.000
Li2 0.000 0.143 0.500
Li3 0.000 0.499 0.500
Hf1 0.000 0.341 0.000
Hf2 0.000 0.679 0.000
O1 0.217 0.510 0.243
O2 0.236 0.332 0.771
O3 0.243 0.169 0.219
```


[2]
Calculated powder diffraction line list
Compound: Li8Hf4O11
Radiation: Cu Kα X-rays
Structure: the GGA-PBE geometry in OQMD

Main lines, low angle first (5° ≤ 2θ ≤ 70°):
2θ/deg  I/Imax  index
18.2  100  1 0 1
19.2  22  0 1 1
20.3  22  0 1 -1
26.6  21  1 -1 0
34.1  40  1 1 -2
35.9  24  1 2 1
41.8  21  2 1 -1
42.0  27  1 1 4

Structure:
```
data_Li8Hf4O11
_cell_length_a 5.199
_cell_length_b 5.312
_cell_length_c 9.151
_cell_angle_alpha 84.21
_cell_angle_beta 74.94
_cell_angle_gamma 80.14
_space_group_name_H-M_alt 'P 1'
_space_group_IT_number 1
loop_
_space_group_symop_operation_xyz
'x,y,z'
loop_
_atom_site_label
_atom_site_fract_x
_atom_site_fract_y
_atom_site_fract_z
Li1 0.000 0.000 0.000
Li2 0.056 0.262 0.430
Li3 0.135 0.537 0.853
Li4 0.305 0.014 0.678
Li5 0.479 0.503 0.506
Li6 0.558 0.763 0.925
Li7 0.626 0.036 0.358
Li8 0.814 0.493 0.184
Hf1 0.215 0.770 0.263
Hf2 0.393 0.265 0.097
Hf3 0.723 0.262 0.765
Hf4 0.890 0.762 0.596
O1 0.033 0.137 0.218
O2 0.074 0.398 0.646
O3 0.172 0.633 0.069
O4 0.247 0.877 0.472
O5 0.362 0.150 0.895
O6 0.435 0.412 0.293
O7 0.536 0.628 0.721
O8 0.676 0.129 0.568
O9 0.755 0.362 0.973
O10 0.852 0.659 0.394
O11 0.934 0.897 0.795
```


[3]
Calculated powder diffraction line list
Compound: Li4HfOsO6
Radiation: Cu Kα X-rays
Structure: the GGA-PBE geometry in OQMD

Main lines, low angle first (5° ≤ 2θ ≤ 70°):
2θ/deg  I/Imax  index
18.0  100  0 0 1
20.7  42  1 1 0
23.3  33  1 1 -1
35.2  18  2 0 -1
35.5  36  1 3 0
36.6  20  2 0 0
37.2  20  1 3 -1
42.8  58  2 0 -2

Structure:
```
data_Li4HfOsO6
_cell_length_a 5.184
_cell_length_b 8.842
_cell_length_c 5.204
_cell_angle_alpha 90.00
_cell_angle_beta 108.80
_cell_angle_gamma 90.00
_space_group_name_H-M_alt 'C 1 2 1'
_space_group_IT_number 5
loop_
_space_group_symop_operation_xyz
'x,y,z'
'-x,y,-z'
'x+1/2,y+1/2,z'
'-x+1/2,y+1/2,-z'
loop_
_atom_site_label
_atom_site_fract_x
_atom_site_fract_y
_atom_site_fract_z
Li1 0.000 0.000 0.000
Li2 0.000 0.157 0.500
Li3 0.000 0.315 0.000
Li4 0.000 0.647 0.000
Hf1 0.000 0.811 0.500
Os1 0.000 0.495 0.500
O1 0.242 0.487 0.271
O2 0.249 0.330 0.737
O3 0.249 0.653 0.757
```
+++

== Done ==
1